Did you ever wonder why India’s time zone is 30 minutes off instead of 1 hour off like most other time zones in the world? There is actually an explanation for that particularity, but to properly understand it, we have to travel back in the past. So without further ado, let’s find out why your clock is 30 minutes off in India.
Who created the time zones?
The inventor of the time zone system was Sir Sandford Fleming in 1879. In the 1700s and beginning of the 1800s, there were many issues and delays during long transoceanic transportations of goods and supplies. It was indeed difficult for travelers to understand what time it was since the time was not following the same exact rules from one ocean to another.
That is the main reason the time zones were created. It was found at the time that since the Earth was rotating on a circular route around the sun, a time offset between different timezones had to be put in place. Once that idea was established among astronomers and scientists, the Earth was divided into 24 equal parts, with a 1 hour offset between each.
Who created the Greenwich Mean Time?
The Greenwich Mean Time, or GMT, was created by Astronomer Royal George Biddell Airy in 1884, a few years after our Canadian scientist Sir Fleming had created the time zones. This system was urgently needed because even with the time zones in place, cargo ships still had a hard time figuring out their longitude on the map, causing delays and accidents.
Mr. Biddell Airy, with the help of many other great minds, figured out that a reference point was needed. This reference point would be the Prime Meridian, or 0° Longitude, positioned alongside the Royal Observatory of Greenwich. With this information, travelers were finally able to follow precise trajectories by observing the position of the sun when it was crossing the Prime Meridian at noon. Moreover, we call this particular moment the Solar Noon, where the sun is at its highest point in the sky.
By observing whether or not the sun was indeed positioned in the right spot over the meridian, travelers were able to advise consequently and proceed to their destination without losing any time.
Why is India 30-minute off?
It is no secret, there were a whole lot of political tensions in the past between Pakistan, Bangladesh, and India. The Union Government which was in power at the time in India wanted to have its own time zone. However, it was difficult to choose between UTC +5:00 (Pakistan), and UTC +6:00 (Bangladesh), since New Delhi, the capital of India, was placed almost exactly in the middle between the latter time zones. Therefore, it was decided that the IST, Indian Standard Time was going to use a 30-minute offset instead of the classic 1-hour offset.
In 1947, the IST as we know it today was officially created and used by all the people in India. Although, even if there is a common time zone for every city in India, the time at which the sun rises and sets causes a lot of stress to Indian people, especially in the Northeast of India where some people use their local time instead of IST.
Is there another time zone similar to IST?
(Someone pasted crystal structures at this point)
┌──
{"formula": "Na4MgZnSiS2O12", "functional": "GGA-PBE", "state": "relaxed", "energy_ev_per_atom": -5.788, "magnetic_moment_mub_per_atom": 0.00, "lattice": [[9.124, 0.000, 0.000], [4.554, 7.919, 0.000], [0.104, 0.223, 22.023]], "species": ["Na", "Na", "Na", "Na", "Na", "Na", "Na", "Na", "Na", "Na", "Na", "Na", "Na", "Na", "Na", "Na", "Na", "Na", "Na", "Na", "Na", "Na", "Na", "Na", "Mg", "Mg", "Mg", "Mg", "Mg", "Mg", "Zn", "Zn", "Zn", "Zn", "Zn", "Zn", "Si", "Si", "Si", "Si", "Si", "Si", "S", "S", "S", "S", "S", "S", "S", "S", "S", "S", "S", "S", "O", "O", "O", "O", "O", "O", "O", "O", "O", "O", "O", "O", "O", "O", "O", "O", "O", "O", "O", "O", "O", "O", "O", "O", "O", "O", "O", "O", "O", "O", "O", "O", "O", "O", "O", "O", "O", "O", "O", "O", "O", "O", "O", "O", "O", "O", "O", "O", "O", "O", "O", "O", "O", "O", "O", "O", "O", "O", "O", "O", "O", "O", "O", "O", "O", "O", "O", "O", "O", "O", "O", "O"], "fractional_positions": [[0.000, 0.000, 0.000], [0.001, 0.662, 0.761], [0.008, 0.954, 0.340], [0.017, 0.302, 0.847], [0.272, 0.698, 0.845], [0.307, 0.302, 0.347], [0.310, 0.972, 0.928], [0.325, 0.355, 0.679], [0.334, 0.614, 0.169], [0.348, 0.969, 0.427], [0.350, 0.298, 0.015], [0.371, 0.649, 0.519], [0.608, 0.649, 0.017], [0.628, 0.997, 0.499], [0.643, 0.335, 0.096], [0.648, 0.337, 0.596], [0.658, 0.697, 0.346], [0.664, 0.954, 0.840], [0.673, 0.616, 0.667], [0.689, 0.970, 0.187], [0.949, 0.354, 0.178], [0.966, 0.662, 0.260], [0.969, 0.969, 0.688], [0.973, 0.304, 0.514], [0.338, 0.956, 0.579], [0.654, 0.316, 0.444], [0.655, 0.316, 0.944], [0.971, 0.662, 0.411], [0.986, 0.645, 0.610], [0.993, 0.662, 0.911], [0.296, 0.969, 0.774], [0.333, 0.943, 0.082], [0.363, 0.968, 0.275], [0.652, 0.318, 0.748], [0.657, 0.317, 0.248], [0.992, 0.645, 0.107], [0.289, 0.644, 0.011], [0.323, 0.671, 0.679], [0.635, 0.669, 0.178], [0.658, 0.022, 0.345], [0.690, 0.645, 0.511], [0.946, 0.022, 0.844], [0.029, 0.984, 0.179], [0.034, 0.276, 0.676], [0.283, 0.353, 0.511], [0.319, 0.274, 0.177], [0.353, 0.612, 0.346], [0.355, 0.313, 0.846], [0.615, 0.980, 0.677], [0.662, 0.612, 0.846], [0.690, 0.948, 0.010], [0.958, 0.313, 0.346], [0.988, 0.352, 0.010], [0.990, 0.945, 0.511], [0.003, 0.442, 0.956], [0.013, 0.448, 0.672], [0.016, 0.827, 0.177], [0.021, 0.838, 0.457], [0.108, 0.008, 0.123], [0.124, 0.153, 0.341], [0.124, 0.171, 0.622], [0.130, 0.969, 0.234], [0.135, 0.200, 0.733], [0.137, 0.973, 0.517], [0.138, 0.005, 0.843], [0.146, 0.184, 0.014], [0.152, 0.652, 0.672], [0.168, 0.447, 0.175], [0.174, 0.671, 0.952], [0.179, 0.458, 0.851], [0.182, 0.437, 0.456], [0.185, 0.621, 0.354], [0.202, 0.458, 0.566], [0.204, 0.612, 0.073], [0.287, 0.784, 0.740], [0.295, 0.184, 0.517], [0.296, 0.195, 0.233], [0.302, 0.820, 0.013], [0.325, 0.787, 0.342], [0.333, 0.174, 0.122], [0.350, 0.153, 0.841], [0.358, 0.758, 0.619], [0.427, 0.347, 0.790], [0.427, 0.515, 0.289], [0.456, 0.331, 0.508], [0.460, 0.296, 0.900], [0.465, 0.529, 0.399], [0.476, 0.288, 0.179], [0.481, 0.475, 0.007], [0.484, 0.004, 0.343], [0.499, 0.481, 0.685], [0.501, 0.820, 0.513], [0.509, 0.001, 0.623], [0.514, 0.787, 0.842], [0.515, 0.974, 0.014], [0.517, 0.748, 0.118], [0.535, 0.963, 0.734], [0.556, 0.785, 0.239], [0.631, 0.137, 0.404], [0.632, 0.529, 0.899], [0.636, 0.132, 0.678], [0.649, 0.480, 0.185], [0.668, 0.475, 0.506], [0.678, 0.117, 0.004], [0.683, 0.111, 0.283], [0.684, 0.515, 0.790], [0.772, 0.838, 0.957], [0.780, 0.671, 0.451], [0.786, 0.825, 0.673], [0.790, 0.870, 0.067], [0.808, 0.613, 0.572], [0.820, 0.621, 0.853], [0.824, 0.654, 0.171], [0.830, 0.832, 0.346], [0.833, 0.111, 0.782], [0.833, 0.113, 0.506], [0.837, 0.329, 0.006], [0.853, 0.347, 0.290], [0.856, 0.135, 0.180], [0.857, 0.138, 0.903], [0.865, 0.288, 0.678], [0.870, 0.295, 0.400], [0.962, 0.452, 0.066], [0.965, 0.832, 0.846], [0.970, 0.860, 0.566], [0.990, 0.458, 0.351]]}
└──
Yes, there are actually a couple of other countries that have a time zone with an offset of 30 minutes, such as Myanmar Time which uses an offset of GMT +5:30 or UTC+5:30. Moreover, Sri Lanka adopted Indian Standard Time in April 2006 but is not inclusive of India’s agglomeration. In fact, the full name of this island country is the Democratic Socialist Republic of Sri Lanka and was formerly known as Ceylon. The latter island is separated from the Indian subcontinent by the Gulf of Mannar and has a population of 22 million people.
When this change happened, many protesters were voicing their opinion against the time zone change, including English writer Sir Arthur C. Clarke. It is unclear if Sri Lanka will keep using IST in the years to come since it is still an ongoing debate.
What’s the weirdest time zone in the world?
Nepal Time, or NPT, would probably be at the top of the list since it uses something that is between a 1-hour offset and a 30-minute offset. You read that right, the Nepal time zone offset is UTC +05:45 (or GMT +05:45). An offset like that must be quite confusing for the people living there!
What are the Top 5 Apps to keep the time between time zones?
To complete our guide on India’s time zone, we thought it would be useful to test some time keeping applications and list the best ones we found for you:
- Spacetime.am – The Slack Bot that keeps time for you
Slack is a well-known software for working online in a team, and you can use automated bots in your chat that will help your organization. Spacetime.am is a very neat tool that allows you to see the difference between time zones of your coworkers, very useful if your team members live in different countries. - Word Clock Time Widget for iPhone and iPad
This app is perfect if you have an iOS device and that you want to see what time it is in various cities in the world. It’s completely free and easy to use, give it a try! - Microsoft Alarms & Clock app
This is a tool that comes with Windows 10. You can access it, just type the name in the search bar of the Start menu. From there, you will be able to set the different parameters that you want. - FoxClocks
This is a web extension that you can add to Google Chrome, Firefox, and Thunderbird. Just go to your browser’s store and download the add on for free. Once it’s installed, you will be able to consult the different time zones through your browser at any time. - Every Time Zone
Every Time Zone is a perfect visualizer that lets you see all the different time zones in the world in a very clean interface. Therefore, if you are a visual kind of person, this app is made for you!